Introducing…Alexia Pellowe
Every month you can find out more about staff within East Ayrshire Health and Social Care Partnership, including what they enjoy most about their work and what they get up to in their spare time.
This month we’re ‘Introducing’…
Alexia Pellowe, Clinical Director at EAHSCP
Alexia became Clinical Director at East Ayrshire Health and Social Care Partnership in July 2022, previously working as a Stakeholder GP from 2015 to 2018.
We asked her some questions about her day-to-day working life…

What does a typical working day look like for you?
No day is ever the same!
## Misplaced materials data
=====
CdHg2GeH GGA-PBE optimized geometry; crystal system = tetragonal; E = -8.483 eV for the cell shown; DOS at the Fermi energy = 0.243 states/eV/atom
1.0
5.517 0.000 0.000
0.000 5.517 0.000
0.000 0.000 3.530
Cd Hg Ge H
1 2 1 1
Direct
0.000 0.000 0.000
0.000 0.500 0.500
0.500 0.000 0.500
0.500 0.500 0.500
0.500 0.500 0.000

=====

LaCd2GeH GGA-PBE optimized geometry; crystal system = tetragonal; E = -12.009 eV for the cell shown; DOS at the Fermi energy = 0.917 states/eV/atom
1.0
6.109 0.000 0.000
0.000 6.109 0.000
0.000 0.000 4.083
La Cd Ge H
1 2 1 1
Direct
0.000 0.000 0.000
0.000 0.500 0.000
0.500 0.000 0.000
0.500 0.500 0.500
0.000 0.000 0.500

=====

La2CdGeH GGA-PBE optimized geometry; crystal system = tetragonal; E = -21.036 eV for the cell shown; DOS at the Fermi energy = 0.678 states/eV/atom
1.0
4.980 0.000 0.000
0.000 4.980 0.000
0.000 0.000 4.489
La Cd Ge H
2 1 1 1
Direct
0.000 0.500 0.000
0.500 0.000 0.000
0.000 0.000 0.500
0.500 0.500 0.500
0.000 0.000 0.000

=====

Among the records above, which one has the highest DOS at the Fermi energy?
LaCd2GeH

----------

No. 1
HoPbAuS3: relaxed, PBE.

Computed properties:
Energy above the lowest structure with this stoichiometry   0.000 eV per atom
Mass density   7.365 Mg/m³

Unit cell a=11.5860 b=4.0974 c=12.6381 alpha=90.00 beta=90.00 gamma=90.00
Closest atoms and distances in Å follow each position.
Space group Pnma (No. 62)
Symmetry-distinct sites (fractional):
Ho: 0.0244 0.2500 0.1570  6 S 2.69-2.83
Pb: 0.1642 0.2500 0.5601  3 S 2.76-2.82
Au: 0.2160 0.7500 0.3740  2 S 2.34-2.35
S: 0.0285 0.7500 0.3041  1 Au 2.34
S: 0.0960 0.2500 0.9429  1 Au 2.35
S: 0.2454 0.7500 0.6864  1 Ho 2.69, 2 Pb 2.76

---

No. 2
Pr2Ho2C3: relaxed, PBE.

Computed properties:
Total energy   -6.67 eV/atom
Mass density   7.300 Mg/m³

Unit cell a=12.6464 b=3.7823 c=6.3773 alpha=90.00 beta=105.00 gamma=90.00
Closest atoms and distances in Å follow each position.
Space group C2/m (No. 12)
Symmetry-distinct sites (fractional):
Pr: 0.1210 0.0000 0.3726  5 C 2.58-2.78
Ho: 0.1474 0.5000 0.8478  4 C 2.43-2.51
C: 0.0000 0.5000 0.5000  2 Ho 2.50, 4 Pr 2.69
C: 0.2485 0.0000 0.7604  3 Ho 2.43-2.51, 1 Pr 2.58

---

No. 3
Mg2SbPd3: relaxed, PBE.

Computed properties:
Total energy   -4.46 eV/atom
Mass density   8.020 Mg/m³

Unit cell a=4.5841 b=4.5841 c=5.5703 alpha=90.00 beta=90.00 gamma=120.00
Closest atoms and distances in Å follow each position.
Space group P-3m1 (No. 164)
Symmetry-distinct sites (fractional):
Mg: 0.3333 0.6667 0.1580  8 Pd 2.75-2.83
Sb: 0.0000 0.0000 0.5000  8 Pd 2.79-2.80
Pd: 0.0000 0.0000 0.0000  2 Sb 2.79, 6 Mg 2.79
Pd: 0.3333 0.6667 0.6645  5 Mg 2.75-2.83, 3 Sb 2.80

---

No. 4
Na4Sn2IrPd: relaxed, PBE.

Computed properties:
Total energy   -3.51 eV/atom
Mass density   6.701 Mg/m³

Unit cell a=4.8022 b=4.8022 c=6.7483 alpha=90.00 beta=90.00 gamma=90.00
Closest atoms and distances in Å follow each position.
Space group P-4m2 (No. 115)
Symmetry-distinct sites (fractional):
=====
An important part of my role involves clinical governance, and issues may arise at any time that need further scrutiny, support, investigation or escalation.
I chair the Health and Care governance group and the Prison and Custody governance group, and co-chair pharmacotherapy implementation groups, the GP forum and the Adverse Event Review Group. I also represent independent contractors in East Ayrshire to the wider partnership and support the quality agenda, including cluster quality improvement and CPD for GPs.
Although that makes a lot of my job meeting heavy, the purpose and outcome of each meeting is so varied and interesting.
What are your favourite aspects of your job?
I am really passionate about improving the health and wellbeing of both the residents and staff in East Ayrshire.
My first 12 months in post have been a journey of understanding the strengths we have here, and also the areas where we have the most potential to make a real difference short and long-term.
I love finding solutions to complex problems and working with our collaborative leaders to advance our health and social care even further.

We have some really talented teams with fantastic commitment from staff to improve the health and wellbeing of the people that they care for and I think they are the Rolls Royce engine of this partnership.
What advice (if any) has helped you succeed in your role?
A wise woman once said to me: “Don’t change your personality even if it makes you stand out. Be your genuine authentic self as you are here because of who that person is.”
At the time I was dialling down my personality to try to fit in or be less irritatingly positive, but now I wholly embrace that part of my character as a real strength. It is possible to be serious, professional and keep your authenticity too.

What are your top tips for looking after your wellbeing?
Take time to recognise what it is you enjoy and do more of it!
I also think we might all be prone to spending too much time on screens – checking emails out of work and scrolling through Facebook or Instagram stories – and the smart algorithms behind these are focused on keeping you on that device.
I have now turned all alerts off on my phone (except my alarm that is!) and I put it away when I can to spend more time with people I love or visiting places I love.
What do I enjoy doing more of? I am a huge football fan with three football daft kids. I really missed playing in a team myself so I did my coaching badge and now coach at their club in my spare time.
This means I see more of them, I get to kick about a bit myself and, of course, it gets me away from my screens too.
Thanks for chatting with us Alexia!
Don’t miss next month’s ‘Introducing’, where we’ll be hearing from another member of the senior management team!